Risk adjustment is used by the Centers for Medicare & Medicaid Services (CMS) to ensure payments to Medicare Advantage (MA) health plans reflect the relative health risk of enrollees. The relative risk of an enrollee is determined by the CMS-HCC risk adjustment model based on demographic factors and diagnosis codes of an enrollee. The resulting output of the risk model is the raw risk score.

**Attached: data records:**
=====
Structure and computed powder XRD pattern of CsThTe3 (a DFT-relaxed cell (GGA-PBE, Alexandria); Cu Kα).

Main lines, by intensity (2θ = 15–90°):
two_theta, I/Imax, hkl
25.54, 100, 3 1 -2
30.34, 99, 3 1 -3
25.24, 85, 4 0 1
20.61, 59, 1 1 -1
38.70, 56, 0 2 0
17.48, 54, 0 0 2
44.89, 46, 9 1 -2
31.54, 41, 5 1 0
42.92, 39, 1 1 4
23.29, 39, 3 1 -1

a = 20.243 Å, b = 4.653 Å, c = 11.487 Å
α = 90.00°, β = 117.91°, γ = 90.00°
Space group C2/m (No. 12)
Asymmetric unit:
Cs 0.110 0.000 0.285 (multiplicity 4)
Th 0.184 0.500 0.802 (multiplicity 4)
Te 0.010 0.500 0.628 (multiplicity 4)
Te 0.150 0.000 0.960 (multiplicity 4)
Te 0.223 0.000 0.666 (multiplicity 4)


Structure and computed powder XRD pattern of Cs4ThTe4 (a DFT-relaxed cell (GGA-PBE, Alexandria); Cu Kα).

Main lines, by intensity (2θ = 15–90°):
two_theta, I/Imax, hkl
24.31, 100, 3 1 -2
24.49, 46, 2 0 2
34.45, 31, 5 1 0
35.10, 31, 1 1 -4
36.25, 22, 0 2 0
44.24, 19, 2 2 2
27.83, 18, 3 1 -3
32.96, 13, 6 0 -4
41.81, 12, 7 1 -1
31.98, 10, 5 1 -3

a = 18.037 Å, b = 4.955 Å, c = 12.916 Å
α = 90.00°, β = 121.99°, γ = 90.00°
Space group C2/m (No. 12)
Asymmetric unit:
Cs 0.124 0.000 0.406 (multiplicity 4)
Cs 0.202 0.500 0.829 (multiplicity 4)
Th 0.000 0.500 0.000 (multiplicity 2)
Te 0.067 0.000 0.908 (multiplicity 4)
Te 0.180 0.500 0.250 (multiplicity 4)


Structure and computed powder XRD pattern of Cs2Th2Te5 (a DFT-relaxed cell (GGA-PBE, Alexandria); Cu Kα).

Main lines, by intensity (2θ = 15–90°):
two_theta, I/Imax, hkl
32.49, 100, 1 3 1
29.67, 69, 4 2 1
33.03, 57, 5 1 2
26.76, 49, 3 1 2
27.84, 38, 5 1 1
55.17, 34, 9 3 1
36.79, 29, 6 2 1
22.31, 29, 2 0 2
28.66, 23, 0 2 2
83.77, 22, 10 6 0

a = 18.683 Å, b = 8.807 Å, c = 8.817 Å
α = 90.00°, β = 90.00°, γ = 90.00°
Space group Cmce (No. 64)
Asymmetric unit:
Cs 0.204 0.000 0.000 (multiplicity 8)
Th 0.000 0.160 0.340 (multiplicity 8)
Te 0.000 0.000 0.000 (multiplicity 4)
Te 0.107 0.143 0.643 (multiplicity 16)

----------

# Cu6SbAs
Calculated powder X-ray diffraction pattern, Cu Ka. Input: a cell relaxed with GGA-PBE.
Neutral-atom scattering factors, no anomalous dispersion.

Cell and atoms:
```
32
Lattice="7.7214 0.0000 0.0000 0.0000 5.4573 5.4298 0.0000 -5.4573 5.4298" Properties=species:S:1:pos:R:3 pbc="T T T"
Cu 0.3464 -3.6307 5.4298
Cu 0.3490 -1.8649 7.1886
Cu 0.6162 -1.1191 2.4282
Cu 0.6804 1.1389 4.6717
Cu 1.9303 -0.2104 0.2239
Cu 1.9303 3.3724 3.7831
Cu 1.9303 0.2427 6.9891
Cu 1.9303 2.0262 8.7632
Cu 3.1803 1.1389 4.6717
Cu 3.2445 -1.1191 2.4282
Cu 3.5143 -3.6307 5.4298
Cu 3.5117 -1.8649 7.1886
Cu 4.2071 3.6307 5.4298
Cu 4.2097 1.8649 7.1886
Cu 4.4769 1.1191 2.4282
Cu 4.5411 -1.1389 4.6717
Cu 5.7910 -3.3724 3.7831
Cu 5.7910 0.2104 0.2239
Cu 5.7910 -0.2427 6.9891
Cu 5.7910 -2.0262 8.7632
Cu 7.0410 -1.1389 4.6717
Cu 7.1052 1.1191 2.4282
Cu 7.3750 3.6307 5.4298
Cu 7.3724 1.8649 7.1886
Sb 0.0000 0.0000 9.0078
Sb 1.9303 -1.3597 4.9249
Sb 3.8607 0.0000 9.0078
Sb 5.7910 1.3597 4.9249
As 1.9303 1.3703 2.2233
As 1.9303 2.7402 6.2884
As 5.7910 -1.3703 2.2233
=====

Two adjustment factors are applied to the raw risk score before health plan payments are calculated:

  1. Normalization Factor - The purpose of this factor is to adjust risk scores for growth between the denominator year and payment year keeping the average risk score to 1.0.
  2. Medicare Coding Pattern Adjustment Factor - The purpose of this factor is to account for differences in diagnostic coding between MA and Medicare Fee-For-Service (FFS) plans.

Below are the adjustment factors for 2024:

Plans Models Normalization Coding Pattern Adjustment
MAOs and other non-PACE Plans 2024 CMS-HCC Model (V28) 1.015 5.9%
2020 CMS-HCC Model (V24) 1.146 5.9%
2023 ESRD Model Dialysis 1.022 5.9%
2023 ESRD Model Functioning Graft 1.028 5.9%
2023 RxHCC Model 1.063 5.9%
PACE Plans 2017 CMS-HCC Model (V22) 1.159 5.9%
2019 ESRD Model Dialysis 1.100 5.9%
2019 ESRD Model Functioning Graft 1.159 5.9%
2020 RxHCC Model 1.084 5.9%

This straightforward equation calculates the payment risk score from the raw risk score:

Here the piece breaks off for data records
- - -
Entry 1:
# Na2ScAsSe4
Theoretical powder diffraction line list, Cu Kα X-rays. Input: the GGA-PBE geometry in Alexandria.

Crystal structure
```
data_Na2ScAsSe4
_space_group_name_H-M_alt 'P 1'
_space_group_IT_number 1
_cell_length_a 8.079
_cell_length_b 8.079
_cell_length_c 8.079
_cell_angle_alpha 120.12
_cell_angle_beta 119.96
_cell_angle_gamma 89.93
loop_
_space_group_symop_operation_xyz
'x,y,z'
loop_
_atom_site_label
_atom_site_fract_x
_atom_site_fract_y
_atom_site_fract_z
_atom_site_occupancy
Na1 0.000 0.000 0.000 1
Na2 0.500 0.000 0.000 1
Na3 0.500 0.000 0.500 1
Na4 0.500 0.500 0.500 1
Sc1 0.000 0.000 0.500 1
Sc2 0.000 0.500 0.000 1
As1 0.000 0.500 0.500 1
As2 0.500 0.500 0.000 1
Se1 0.220 0.739 0.481 1
Se2 0.240 0.259 0.520 1
Se3 0.240 0.720 0.980 1
Se4 0.242 0.261 0.981 1
Se5 0.758 0.739 0.019 1
Se6 0.760 0.280 0.020 1
Se7 0.760 0.741 0.480 1
Se8 0.780 0.261 0.519 1
```

Principal peaks in the range 2θ from 10° to 80°, in order of falling intensity:
| Position (°2θ) | I_rel |
| --- | --- |
| 31.32 | 100 |
| 44.87 | 57 |
| 74.24 | 22 |
| 13.43 | 22 |
| 27.04 | 16 |
| 44.97 | 11 |
| 55.70 | 11 |
| 55.80 | 11 |
| 41.06 | 10 |
| 65.35 | 10 |



Entry 2:
# Si2SnRhN
Theoretical powder diffraction line list, Cu Kα X-rays. Input: the GGA-PBE geometry in Alexandria.

Crystal structure
```
data_Si2SnRhN
_space_group_name_H-M_alt 'P 1'
_space_group_IT_number 1
_cell_length_a 4.694
_cell_length_b 4.694
_cell_length_c 6.333
_cell_angle_alpha 103.31
_cell_angle_beta 103.31
_cell_angle_gamma 35.72
loop_
_space_group_symop_operation_xyz
'x,y,z'
loop_
_atom_site_label
_atom_site_fract_x
_atom_site_fract_y
_atom_site_fract_z
_atom_site_occupancy
Si1 0.000 0.000 0.000 1
Si2 0.656 0.656 0.749 1
Sn1 0.851 0.851 0.310 1
Rh1 0.361 0.361 0.685 1
N1 0.638 0.638 0.040 1
```

Principal peaks in the range 2θ from 10° to 80°, in order of falling intensity:
| Position (°2θ) | I_rel |
| --- | --- |
| 20.49 | 100 |
| 37.01 | 63 |
| 34.90 | 60 |
| 49.43 | 40 |
| 42.57 | 38 |
| 44.34 | 37 |
| 29.06 | 28 |
| 22.05 | 28 |
| 31.35 | 26 |
| 44.22 | 25 |

~~~~~

Entry 1:
Simulated X-ray powder pattern of La4Nd3Hg3N2 for λ = 1.5418 Å (Cu Kα), from a structure optimized by DFT (GGA-PBE).
Peak positions follow from Bragg's law for the DFT cell and can differ from measured ones.

Main lines, sorted by position (5° ≤ 2θ ≤ 70°):
- 24.5 deg, d = 3.635 Å, I 14
- 28.4 deg, d = 3.143 Å, I 40
- 32.7 deg, d = 2.741 Å, I 100
- 34.8 deg, d = 2.576 Å, I 32
- 35.0 deg, d = 2.564 Å, I 32
- 35.9 deg, d = 2.503 Å, I 16
- 50.2 deg, d = 1.817 Å, I 23
- 61.1 deg, d = 1.517 Å, I 17
- 61.3 deg, d = 1.512 Å, I 17
- 63.2 deg, d = 1.471 Å, I 12

Crystal structure
a b c (Å): 5.129 5.153 25.035
angles (deg): 90.00 90.00 90.00
Space group Immm (No. 71)
Asymmetric unit:
La: 0.000 0.000 0.096 [4 per cell]
La: 0.000 0.500 0.199 [4 per cell]
Nd: 0.000 0.000 0.404 [4 per cell]
Nd: 0.000 0.500 0.000 [2 per cell]
Hg: 0.000 0.500 0.326 [4 per cell]
Hg: 0.000 0.500 0.500 [2 per cell]
- - -
The piece goes on


  • Step 1) Divide the raw risk score by the normalization factor.
  • Step 2) Round the result of Step 1 to three decimals.
  • Step 3) Multiply the result by one minus the coding pattern adjustment factor.
  • Step 4) Round the result to three decimals.

We round in the steps above because the CMS-HCC model risk scores can only have a maximum of 3 decimal places.

The adjustment factors are included in the annual payment notice or announcement each year. Click here for the 2024 Payment Notice. The Normalization and Coding Pattern Adjustment Factors are found on pages 5 and 6.

4 Steps to Adjust Your Risk Scores using Python

Below, we present easy-to-use Python code for applying the normalization factor. The following example uses the model output file from our software MScore™, which is our application that allows you to run the CMS-HCC model anywhere using open-source and modern cloud technologies. For more information on using MScore™ to run the 2024 V28 CMS-HCC model, check out our article: A Python User's Guide to Running the CMS-HCC Risk Adjustment Model.

Step 1: Read in the MScore™ Model Output

To normalize the scores and apply the coding pattern adjustment, use the following code to import and read in your MScore™ model output file:

-- Inserted here: data records --
~~~
No. 1
CsPaSe3Cl: theoretical powder X-ray diffraction pattern (CuKα), based on a GGA-PBE-relaxed structure.

Structure:
Cell: 6.905 21.525 7.245 Å, 90.00 91.34 90.00°
Space group C2/c (No. 15)
Inequivalent atoms, fractional coordinates:
Cs: 0.000 0.233 0.250
Pa: 0.000 0.043 0.750
Se: 0.000 0.166 0.750
Se: 0.234 0.034 0.448
Cl: 0.000 0.293 0.750

Top 8 peaks for 15° ≤ 2θ ≤ 90°, sorted by position:
- 2θ 16.47, I 74
- 2θ 21.84, I 100
- 2θ 24.58, I 37
- 2θ 27.86, I 53
- 2θ 34.35, I 74
- 2θ 35.54, I 71
- 2θ 36.38, I 37
- 2θ 44.68, I 30

No. 2
HoAl6Ga: theoretical powder X-ray diffraction pattern (CuKα), based on a GGA-PBE-relaxed structure.

Structure:
Cell: 6.183 9.865 4.841 Å, 90.00 90.00 90.00°
Space group Cmmm (No. 65)
Inequivalent atoms, fractional coordinates:
Ho: 0.000 0.000 0.000
Al: 0.000 0.223 0.500
Al: 0.207 0.500 0.500
Al: 0.250 0.250 0.000
Ga: 0.000 0.500 0.000

Top 8 peaks for 15° ≤ 2θ ≤ 90°, sorted by position:
- 2θ 17.98, I 39
- 2θ 18.33, I 36
- 2θ 25.78, I 31
- 2θ 36.43, I 30
- 2θ 37.14, I 31
- 2θ 39.10, I 100
- 2θ 53.00, I 20
- 2θ 68.26, I 19

No. 3
Pr10SmHo4: theoretical powder X-ray diffraction pattern (CuKα), based on a GGA-PBE-relaxed structure.

Structure:
Cell: 10.109 10.109 10.874 Å, 90.00 90.00 90.00°
Space group I4/m (No. 87)
Inequivalent atoms, fractional coordinates:
Pr: 0.000 0.500 0.250
Pr: 0.119 0.773 0.168
Sm: 0.000 0.000 0.000
Ho: 0.055 0.726 0.500

Top 8 peaks for 15° ≤ 2θ ≤ 90°, sorted by position:
- 2θ 21.29, I 18
- 2θ 26.12, I 24
- 2θ 27.91, I 80
- 2θ 31.64, I 100
- 2θ 32.49, I 33
- 2θ 39.88, I 29
- 2θ 40.69, I 23
- 2θ 58.55, I 20

No. 4
TlFe8: theoretical powder X-ray diffraction pattern (CuKα), based on a GGA-PBE-relaxed structure.

Structure:
Cell: 7.726 7.726 3.650 Å, 90.00 90.00 90.00°
Space group I4/mmm (No. 139)
Inequivalent atoms, fractional coordinates:
Tl: 0.000 0.000 0.000
Fe: 0.000 0.355 0.000
Fe: 0.185 0.185 0.500

Top 8 peaks for 15° ≤ 2θ ≤ 90°, sorted by position:
- 2θ 27.02, I 19
- 2θ 32.79, I 16
- 2θ 35.79, I 21
- 2θ 42.98, I 100
- 2θ 49.98, I 17
- 2θ 50.09, I 29
- 2θ 73.49, I 25
- 2θ 89.15, I 17

No. 5
Tb6Nd8Sc: theoretical powder X-ray diffraction pattern (CuKα), based on a GGA-PBE-relaxed structure.

Structure:
Cell: 9.1586 9.1586 20.8307 Å, 90.00 90.00 120.00°
Space group R-3 (No. 148, hexagonal axes)
Inequivalent atoms, fractional coordinates:
Tb: 0.0527 0.2491 0.2058
Nd: 0.0000 0.0000 0.0780
Nd: 0.0824 0.5591 0.3055
Sc: 0.0000 0.0000 0.5000

Top 8 peaks for 15° ≤ 2θ ≤ 90°, sorted by position:
- 2θ 30.12, I 35
- 2θ 31.08, I 100
- 2θ 32.13, I 30
- 2θ 32.36, I 17
- 2θ 34.52, I 11
- 2θ 36.36, I 15
- 2θ 52.55, I 12
- 2θ 54.64, I 16

No. 6
Sm3AlSi2Pd9: theoretical powder X-ray diffraction pattern (CuKα), based on a GGA-PBE-relaxed structure.

Structure:
Cell: 6.3267 6.3267 8.8429 Å, 90.00 90.00 120.00°
Space group P-3m1 (No. 164)
Inequivalent atoms, fractional coordinates:
Sm: 0.0000 0.0000 0.0000
Sm: 0.3333 0.6667 0.6864
Al: 0.0000 0.0000 0.5000
Si: 0.3333 0.6667 0.1754
Pd: 0.0000 0.5000 0.0000
~~~

Step 2: Assign the Adjustment Factors

Assign variables to the normalization factor and coding pattern adjustment. Note, the coding pattern adjustment is converted from a percentage to a decimal and rounding is applied.

Step 3: Select the Risk Scores and Apply the Adjustment Factors

Next, select the risk score columns to apply the adjustment factors and calculate the payment risk score. Our definition of a payment risk score is the score with both the normalization and coding pattern adjustment factors applied.

Step 4: Calculate the Payment Risk Score

In the last step, we leverage NumPy's vectorization to quickly normalize and apply the adjustment factor.

The code below shows the Community Non-Dual Aged raw score, normalized score, and the normalized and coding pattern adjusted payment risk score for the 10 enrollees in our synthetic datasets.

Community Non-Dual Aged

Raw, Normalized, and Payment Risk Score

risk score output

By utilizing MScore™ alongside the provided Python code for 2024's normalization and coding pattern adjustments, MA plans can accurately and confidently calculate their risk scores. This is crucial for validating CMS payments and conducting various analyses. MScore™ marks a significant step forward in modernizing complex risk adjustment data operations, positioning your organization to be at the forefront of both financial and technical innovation in the healthcare sector.

Disclaimer: The code examples above are for illustrative purposes and may require proper environment setup, license keys, or additional parameters to work effectively in your specific context. Always refer to MScore™ documentation or reach out to support@riskadjustmentmodel.com if you have questions.